SUPPORT THE MULTILATERAL ETHNO-STATE DREAM: WHITES SHOULD HAVE THEIR OWN STATE (NATION) EVEN AS THE HEBREWS DID! Protect intimate family relationship >>>>> God >>>>> Man >>>>> Family >>>>> Race >>>>> Subrace >>>>> Community >>>>> Abraham >>>>> Isaac >>>>> Jacob >>>>> Hebrew Race >>>>> Subraces: Twelve Tribes >>>>> Nation of Israel >>>>> Homogeneous Communities

Book Review Of The Fall Of Western Man by Mark Collett (Free Online!)

Using a psychological and logical approach, the book helps a person realize the terrible results of allowing the id and ego to reign without seeking rehabilitation will cause utter ruin. (See Psychology And Christianity.) However, it does not describe or specify biblical marriage laws as could a learned Christian writing on the prerequisite of female virginity and things pertaining to the obligations of the male, nor does it uphold some other Christian values, for instance non-abortion, or perhaps some other things against works of the flesh (Galatians 5:19-21), but it has a great sense of what primitive man had to develop in order to become a family and tribal (community, state, nation) man. In many parts, as to standing against drunkenness, drug abuse, upside-downism, feministism (abominable, female hardness and ferociousness), individualism and things that are destroying the West, I found the book heroic, lifting and refreshing.

Abortion Must Not Be Tolerated Under Any Situation

We must live by faith. Faithful marriages and child bearing brings forth adored children. However, sometimes, things have happened that are not good for people, such as war rapes, incestual occurrences and other forms of unwanted events that brought about unwanted pregnancy. Nevertheless, we must not make things worse by breaking God's laws and taking the life of an innocent child or pre-born. Abortion is not a consideration for a faithful Christian; better Christian religious thought (super ego development), science and medical ethics, and homogeneous politics and communities that protect our women is. We must be especially protective concerning prevention of inter-racial rape.

Sexual intercourse outside of holy matrimony is sinful: whether it manifests itself in incest, rape, adultery, wastefulness, or fornication. An instance of wastefulness in marriage occurred when Onan secreted upon the ground, rather than making a complete effort to be sexually fruitful with his wife--this appeared wicked before the Lord; God killed him (Gen. 38.9).

Even though sinful occurrences of unwanted pregnancy may appear, we must apply a pro-life advancement technique, not a taking-away of life method. The idea is to make a better and more protective community, not administrating murderous or life-preventive medical techniques, which God cannot approve. An unwanted baby can be given up for adoption, there is no need to kill it. We also put so much confidence in doctors, even allowing nude examinations of mates... I think this is bigger problem than merely implementing midwives and depending upon prayer, and accepting things that come our way in confidence that God will bring us hope. Of course, we don't want these unwanted pregnancy tragedies, but horrible as they are, we must seek God and his life giving inspiration in every thing we do.

Eugenics/Birth Rate/Polygamy And Polyandry

We must not put the cart before the horse. The carriage will travel much better by allowing the horse to go in front and pull the cart. The id of the male may desire a female and the id of the female may similarly seek the male, but the super ego of both genders must be refined enough to pick a mate within the limits of biblical marriage, not just any union or what would be recognized as fornication and would deserve annulment. Families with pure marriages make better homes for children. The children grow up healthily. Children from broken homes, bastardization, polyandry, cuckoldry and remarriages suffer repercussions of abuse and defilement. Many end up misusing drugs or not respecting purity.

Correcting miscegenation (race and culture mixing) as the early Hebrews did through expulsion is evidence and cause for us to prevent it from happening. Thus, racial homogeneity is also a continued good tradition. Children of inter-racial unions may become conflicted with choosing (favoring) the dominant or subdominant race, or ignoring or confusing the matter of racial identity due to misleading family bias instead of critical thinking. A type of racial schizophrenia seems eventually inevitable, whereas the purebred child doesn't have any such racial identity (ego) conflict. As in Ezra, the children of miscegenation were not accepted as legitimate (nor were their foreign mothers) as to being part of the dominant (Hebrew) race, and consequently, missed out on the relative superior position status and the divine blessing of Hebrew inheritance also.

God can bless a pure marriage, but He will judge a defiled marriage. We should think of the youth that we now have, and lead them along a Christian path, even if it requires singleness of a parent (sexual abstinence and damage control) and raising the children without a mate. This is because no matter how many children an unclean family may bring to its genetic tribe, they cannot receive the parental blessings that a pure family and posterity can. And the only way to make a defiled family clean is to separate the people involved in uncleanliness (a defiled marriage), which would be a form of repentance, acknowledge God's law is correct and ask his forgiveness. Let us do things in orderly fashion, in God's way, so that our posterity can continue without God's judgment against us. That's how we got in the mess we are in!

Necessity of Homogeneous Racial And Cultural Environment For Race Survival

Nevertheless, it seems we must provide for our posterity a homogeneous racial and cultural environment, and soon. Families would cherish and want to reproduce if husbands and wives respected the role and divine attributes of each other, and lived in a white community, especially a state or country where they would not be hindered by other races and cultures. We must turn to God and his righteousness in order to prevent being seduced by a one world culture of mixed peoples without respect of a right to a decent and homogeneous culture. I must emphasize we need to start working together spiritually and financially even to build and maintain local communities of our own.

We whites have less freedom than the blacks did during the Jim Crow era. At least the blacks had segregation although they didn't have the desire and virtue of racial homogeneity to appreciate it, lacking super ego to be self-sufficient through their own group perhaps from their phylogenetic id and ego. (The Pygmies even serve other black subraces—see the video.) However, after NWO interference and the movement to enslave all races including whites, we do not even have the ability to be set apart from non-whites as they were set apart from us before the undue “civil rights” came about. Now, our corrupt housing and “civil” rights laws prevent us from legally building homogeneous, cohesive communities, wherein we could raise our children according to our standards in our own schools without being bullied or harassed by a non-white, wherein we could build our own industries and our men could have work without being turned down due to an Affirmative Action, non-merit employee preference, wherein our women and men would have hope in raising families and having children. We are serving a form of inverse slavery, and we must be collectively delivered and the political swamp must be drained in order for us to survive the demographic calculus of our dying and persecuted race.


Tara McCarthy

Brittany Pettibone

Augustus Invictus

Tara's Deceived By Hinduism And Satan
(Still A Great Alt Right Proponent—We Love Her)

Meat Is Blessed By The Word Of God And Giving Thanks/Anti-Veganism

The Land Of Milk And Honey

Contraception Is Against Biblical Values

Do We Need Leaders Or Political Parties?

More On Tara McCarthy...

Loving One's Own Race Is Natural

Race And IQ

Charlottesville Cuckism

-- Calculated molecules that have nothing to do with the page --
The following is a quantum chemistry calculation of a structure of composition C19H13BrN3O2PdSSbSe4, from OMol25.

```
45
Properties=species:S:1:pos:R:3:forces:R:3:lowdin_charge:R:1
Pd -1.447818 -0.638833 -1.657651 2.40 2.12 -0.13 0.2391
N 2.407782 1.055167 -1.221351 -0.96 0.85 0.21 0.1143
C 3.479182 0.199967 -1.359751 0.89 -0.82 -0.16 -0.2519
C 4.782982 0.682967 -1.394051 -0.35 0.09 -0.04 -0.0428
C 5.855282 -0.191133 -1.475751 0.23 -0.23 -0.02 -0.1189
C 5.649382 -1.559033 -1.543751 0.20 0.12 0.03 -0.1155
C 4.355382 -2.055433 -1.536851 -0.07 0.14 -0.05 -0.1125
C 3.282882 -1.190533 -1.437851 -0.32 0.65 0.05 -0.4435
S 1.654182 -1.830133 -1.316351 0.06 -0.33 0.09 0.9032
N 0.701382 -0.509533 -1.737551 0.56 2.56 0.95 -0.3467
C 1.077682 0.737667 -1.526851 1.52 -3.56 -0.61 -0.3197
C 0.135982 1.789167 -1.638151 -2.60 2.41 -0.21 -0.1668
C 0.496382 3.162567 -1.724851 0.54 -1.54 0.10 -0.0287
C -0.452318 4.138067 -1.623951 -1.17 0.31 0.08 -0.0844
C -1.797418 3.769367 -1.453351 1.11 0.18 -0.20 -0.0457
C -2.106018 2.424467 -1.493751 -0.71 0.17 0.14 -0.1460
N -1.207618 1.462167 -1.616351 1.91 -0.18 0.00 0.0047
H 2.615582 2.032367 -1.088851 0.03 -0.23 0.04 0.1167
H 4.956682 1.751367 -1.346351 0.00 0.07 0.01 0.1030
H 6.860982 0.202767 -1.492451 0.09 0.05 0.01 0.0897
H 6.486982 -2.240233 -1.601851 0.06 0.00 -0.01 0.0922
H 4.167682 -3.119733 -1.590051 -0.02 -0.04 -0.03 0.1053
H 1.531682 3.425767 -1.901851 0.00 0.09 0.09 0.0978
H -0.170718 5.181667 -1.680851 0.01 0.02 0.00 0.0979
H -2.571518 4.510867 -1.340451 -0.10 0.02 0.03 0.0979
H -3.145118 2.104867 -1.413551 0.21 -0.24 -0.11 0.0702
Se -4.805718 -3.766733 0.123649 -0.04 -0.07 0.12 -0.2658
Sb -3.698818 -2.958233 -1.855251 -0.50 -0.07 -0.30 -0.2607
Se -3.553818 -0.450733 -2.447951 -2.40 -0.79 -1.07 0.0452
Se -1.156918 -2.901233 -1.689651 -1.01 -1.96 -0.42 0.0379
Se -4.500518 -4.075533 -3.846251 0.04 -0.13 -0.20 -0.3718
Br -5.003318 -0.690233 2.542749 -0.16 -0.08 0.30 0.7674
C -3.310318 -0.852633 3.371549 0.03 0.21 0.04 -0.5849
C -3.280018 -0.973433 4.756349 -0.15 0.00 -0.08 -0.1563
C -2.074818 -0.946033 5.430849 0.06 0.00 0.14 -0.1232
C -0.890218 -0.792633 4.727849 0.11 -0.07 0.05 -0.1084
C -0.925718 -0.718533 3.349849 0.11 0.04 0.23 -0.0333
C -2.126118 -0.751333 2.653149 -0.07 -0.06 -0.09 -0.1453
C -2.050118 -0.679433 1.144249 -0.55 0.09 -0.85 -0.6846
O -3.065318 -0.895433 0.472549 0.12 0.02 1.05 -0.2612
O -0.924318 -0.387533 0.662249 1.03 0.26 0.69 -0.1241
H -4.211018 -1.075633 5.292749 -0.09 0.02 0.06 0.0806
H -2.059718 -1.032433 6.508649 -0.04 -0.01 0.11 0.0858
H 0.058182 -0.737433 5.247749 0.02 -0.05 0.06 0.0866
H -0.020918 -0.611433 2.769349 -0.01 -0.02 -0.10 0.1074
```
Positions in Å, forces in eV/Å.

Computed properties:
relative energy (zero: lowest compared OMol25 entry of this formula, charge and spin) = 160.7 kJ/mol
gap between HOMO and LUMO (alpha / beta) = 0.147 / 0.147 Eh
maximum force = 3.92 eV/Å
charge = -2

---
-- End of the calculated molecules --

Hybrids And Achievement Of Dominant Race

Explaining The Definition Of Hate

Marriage And Christianity Issue

Having Children

Sex Thought: Protestant VS Roman Catholic

Do We Need Leaders Or Political Parties?

Bre Faucheux

Other Alt Right Proponents


How To Talk To Liberals

Alt Right Music

Charlottesville Lawsuit

JIHAD Against America Exposed! Enough is Enough!

Kevin Shipp - Former CIA Officer Explains The Shadow Government - The Hagmann Report

Hijabs Are A Sign Of Cuckoldry

The Fall Of Western Man (Free Online!)
Counterpoint Against Abortion

NWO Disformation Of Social Morality And Resulting Cuckoldry

Lifting Up Christian Standards

Sex, Purity And Justice

Building Communities

Noah's Blessing Upon The White Man

Our Own Party

Be Water My Friend

Understanding How God Created Time

Elmer Gantry Expose

David Wilkerson Vision (1973)/
David should have revered the Holy Scriptures more so than Billy Graham: both promoted fornication whether they realized it or not!

Visions And Dreams

Purity As Part Of Justice Needed

Father's Day Gift: Ministry

God's Judgment Upon A Defiled Land (Isaiah 24:5)

Understanding Differences Of Christian Thought

What Screwed America Up

Christian Community

Community And Finance

Appealing For Secession Or State Land Division:
The Racial Compact

Homogeneous Political Examples

Political Misdirection

Hindrances To Homogeneous Community

25 Points

Alex Jones' Genocide Propaganda

Affirmative Action Destroys The Family Institution

White Male Displacement and Mission Life

Abraham Lincoln's Race Jeopardization For Opportunity

New World Order Influence Upon Sex

Divorce And Remarriage
(Divorce may be necessary at times, but never remarriage.)

The Jewish Question: Not A Hebrew Tribe

Women's Suffrage

Jewish Myth

God's Judgment Upon A Defiled Land (Isaiah 24:5)

The Jewish Are Not Jews/Hebrews

Karl Marx And White Hatred

Learn How To Distinguish Between Race And Culture

Demons In The Realm Of The Super Ego

Military Draft For Women